Global economy: New year, old fears


LONDON: Out with the old, in with the new has a fine New Year’s ring to it. Unfortunately, the saying does not apply to the global economy: the uncertainty over US fiscal policy that dominated the last weeks of 2012 is far from going away.
That uncertainty, which is causing businesses to draw in their horns, is likely to be reflected in two important December indicators this week — the Institute for Supply Management’s manufacturing survey on Wednesday and the jobs report on Friday.
The ISM index probably rose to 50.2 from 49.5 in November, still well below the second-quarter average of 52.7, while the economy is expected to have added 145,000 non-farm jobs after a gain of 146,000 the month before, according to economists polled by Reuters.
The unemployment rate is likely to have ticked up to 7.8 percent from 7.7 percent. That figure is more important than ever since the US Federal Reserve promised to keep monetary policy ultra-loose till it drops to 6.5 percent.
Attention is focused on the immediate consequences of a plunge off the so-called “fiscal cliff” — the combination of tax rises and spending cuts amounting eventually to $600 billion that will be phased in from Jan. 1 in the absence of a deal.
What comes next are data records, not part of the piece:
/*
! PBE Pm2Sm2DyY4, relaxed; values from VASP
&SYSTEM
  ibrav = 0, nat = 9, ntyp = 4
/
ATOMIC_SPECIES
Pm 145.00 Pm.upf
Y 88.91 Y.upf
Sm 150.36 Sm.upf
Dy 162.50 Dy.upf
ATOMIC_POSITIONS angstrom
Pm -2.323 8.144 2.886
Y 1.054 2.204 2.612
Pm 3.408 -1.639 5.041
Sm 1.229 1.039 6.045
Y -2.159 2.652 1.028
Sm -0.144 5.465 1.881
Y 0.030 4.300 5.314
Y 3.243 3.852 6.899
Dy 0.000 0.000 0.000
CELL_PARAMETERS angstrom
-3.051 -0.711 1.831
6.622 -2.101 6.620
-2.486 9.316 -0.525
! SG: C2/m
! Calculated total energy, eV per atom: -5.49
! Calculated density, g/cm³: 6.19


The following is a DFT calculation (PBE) of a geometry-optimized BPt4Au3 structure.

Values from the calculation:
As for the calculated density: 16.39 g/cm3. The uncorrected energy comes out at -39.858 eV/cell. Its crystal system is orthorhombic. Its density of states at the Fermi level is 4.0 states/eV/cell. The total magnetization is 0.00 μB/cell. The formation energy from the elements is 79 kJ/mol of formula units.

Lattice parameters (Å, degrees): 5.7596 5.7596 5.7596 101.29 104.38 123.76
Sites, in units of the cell vectors:
Pt  0.0418  0.7499  0.2920
Pt  0.5421  0.2501  0.2920
Pt  0.2142  0.3130  0.5272
Pt  0.2142  0.6870  0.9012
Au  0.5992  0.7908  0.3900
Au  0.5992  0.2092  0.8084
Au  0.9349  0.0000  0.9349
B  0.0053  0.5000  0.5053

=====

The following is a DFT calculation (PBE) of a geometry-optimized BPt3Au structure.

Values from the calculation:
As for the calculated density: 17.74 g/cm3. The uncorrected energy comes out at -114.546 eV/cell. Its crystal system is monoclinic. Its density of states at the Fermi level is 7.2 states/eV/cell. The total magnetization is 0.00 μB/cell. The formation energy from the elements is -54 kJ/mol of formula units.

Lattice parameters (Å, degrees): 22.9482 5.1226 7.5827 90.00 160.54 90.00
Sites, in units of the cell vectors:
Pt  0.4331  0.0783  0.9787
Pt  0.1863  0.4303  0.4850
Pt  0.3137  0.9303  0.0150
Pt  0.9266  0.0842  0.9778
Pt  0.0669  0.5783  0.5213
Pt  0.4266  0.4158  0.4778
Pt  0.6863  0.0697  0.9850
Pt  0.0734  0.9158  0.0222
Pt  0.5669  0.9217  0.0213
Pt  0.8137  0.5697  0.5150
Pt  0.9331  0.4217  0.4787
Pt  0.5734  0.5842  0.5222
B  0.0611  0.7618  0.2557
B  0.5611  0.7382  0.7557
B  0.9389  0.2382  0.7443
B  0.4389  0.2618  0.2443
Au  0.8162  0.9120  0.0099
Au  0.6838  0.4120  0.4901
Au  0.1838  0.0880  0.9901
Au  0.3162  0.5880  0.5099

=====

The following is a DFT calculation (PBE) of a geometry-optimized BPt3Au structure.

Values from the calculation:
As for the calculated density: 17.55 g/cm3. The uncorrected energy comes out at -57.318 eV/cell. Its crystal system is monoclinic. Its density of states at the Fermi level is 2.8 states/eV/cell. The total magnetization is 0.00 μB/cell. The formation energy from the elements is -56 kJ/mol of formula units.

Lattice parameters (Å, degrees): 5.6170 5.6858 6.4438 90.00 133.19 90.00
Sites, in units of the cell vectors:
B  0.3898  0.7500  0.3403
B  0.6102  0.2500  0.6597
*/
The economy would almost certainly relapse into recession without a solution in the weeks ahead.
Yet economists are also increasingly concerned by the inability of Democrats and Republicans to compromise and what that impasse says about the chances of putting America’s public finances on a stable medium-term footing.
“Recent signals from the economy, especially signs of renewed life in the housing market, suggest that a stronger recovery may finally be taking hold. But these encouraging developments could yet be snuffed out by missteps on the fiscal cliff,” according to Nathan Sheets, global head of international economics at Citi in New York.
“Similarly, a failure to address the government’s longer-term debt-sustainability problems would pose more long-lived risks for the economy — and for the dollar’s role as the global reserve currency,” he said in a report.
After meeting congressional leaders on Friday, US President Barack Obama said he was modestly optimistic an eleventh-hour agreement could be found. But neither side appeared to give much ground.
Sheets said it was only a slight overstatement to say that, if entitlement spending is not meaningfully reformed, the federal debt will eventually become unsustainable almost regardless of what else is done.
Likewise, higher tax burdens appear unavoidable to maintain defense spending and anything approaching present levels of discretionary programs, he added.
Michael Moran, chief economist at Daiwa Capital Markets in New York, is also uneasy over the thrust of the cliff talks.
He said the debate over tax reform seems to be about redistributing income and subsidizing favored sectors more than about promoting growth.
By the same token, many lawmakers are resisting logical steps to restrain entitlement spending, such as raising the eligibility age for Medicare, the government health insurance scheme for the elderly, or increasing the use of means testing to determine benefit payments.
“Without meaningful tax and entitlement reform, the unsustainable fiscal situation of the federal government will leave a cloud of uncertainty that constrains growth,” Moran told clients.
Not everyone is so gloomy, mainly because monetary policy is extremely easy in most countries and markets have rallied, loosening financial conditions.
“In the final analysis, the US is in a much better position to help lead the global recovery in 2013 as many financial and real economic imbalances have been reduced and there is plenty of pent-up demand in the private economy to fuel growth,” said Joe Carson, chief US economist at AllianceBernstein.
In London, Paul Mortimer-Lee with BNP Paribas said global growth is at, or close to, the bottom of the cycle. Julian Callow at Barclays Capital reckons that, six years into the financial crisis, 2013 will finally be the year in which tailwinds begin to overcome headwinds.
That would be music to the ears of exporters in Asia, who suffered in 2012 because of sub-par growth in America and the euro zone’s debt and banking troubles.
The European drama is in abeyance for now, although a raft of purchasing managers’ surveys for December is likely to indicate that several big countries, if not the whole 17-nation single-currency bloc, probably contracted last quarter.
The first indicator of the year from China, to be released on Jan. 1, is expected to show that the official purchasing managers’ index for December rose to 51 from 50.6 in November, according to economists polled by Reuters.
### Here the page breaks off for data records
(1)
This record from the Open Quantum Materials Database describes crystalline BeCoO3 at its relaxed geometry. The functional is GGA+U.

Geometry as extended XYZ:
```
5
Lattice="3.594 0.000 0.000 0.000 3.594 0.000 0.000 0.000 3.594" Properties=species:S:1:pos:R:3 pbc="T T T"
Co 1.797 1.797 1.797
O 0.000 1.797 1.797
O 1.797 0.000 1.797
O 1.797 1.797 0.000
Be 0.000 0.000 0.000
```

(2)
This record from the Open Quantum Materials Database describes crystalline BeCoO3 at its relaxed geometry. The functional is GGA+U.

Geometry as extended XYZ:
```
5
Lattice="3.433 0.000 0.000 0.000 3.433 0.000 0.000 0.000 3.433" Properties=species:S:1:pos:R:3 pbc="T T T"
Co 0.000 0.000 0.000
Be 1.717 1.717 1.717
O 1.717 1.717 0.000
O 0.000 1.717 1.717
O 1.717 0.000 1.717
```

no.,raw total energy (eV per formula unit)
1,-24.35
2,-27.00

~~~~~

1.
Mn2VFeC | the Alexandria database | PBE-GGA | relaxed; calculated formation energy = -0.077 eV/atom; theoretical density = 7.2 g/cm3; space group = No. 123
1.0
3.762 0.000 0.000
0.000 3.762 0.000
0.000 0.000 3.702
Mn V Fe C
2 1 1 1
Cartesian
0.000 1.881 0.000
1.881 0.000 0.000
0.000 0.000 1.851
1.881 1.881 1.851
1.881 1.881 0.000

2.
MnVFe2C | the Alexandria database | PBE-GGA | relaxed; calculated formation energy = -0.058 eV/atom; theoretical density = 7.4 g/cm3; space group = No. 123
1.0
3.701 0.000 0.000
0.000 3.701 0.000
0.000 0.000 3.782
Mn V Fe C
1 1 2 1
Cartesian
0.000 0.000 0.000
1.850 1.850 0.000
0.000 1.850 1.891
1.850 0.000 1.891
0.000 0.000 1.891

3.
Mn2FeWC | the Alexandria database | PBE-GGA | relaxed; calculated formation energy = 0.030 eV/atom; theoretical density = 11.2 g/cm3; space group = No. 123
1.0
3.799 0.000 0.000
0.000 3.799 0.000
0.000 0.000 3.725
Mn Fe W C
2 1 1 1
Cartesian
0.000 1.899 0.000
1.899 0.000 0.000
0.000 0.000 1.862
1.899 1.899 1.862
0.000 0.000 0.000

4.
YMnFeC2 | the Alexandria database | PBE-GGA | relaxed; calculated formation energy = -0.196 eV/atom; theoretical density = 6.4 g/cm3; space group = No. 119
1.0
3.496 0.000 0.000
0.000 3.496 0.000
0.000 0.000 9.566
Y Mn Fe C
2 2 2 4
Cartesian
0.000 0.000 0.000
1.748 1.748 4.783
0.000 1.748 7.174
1.748 0.000 2.391
0.000 1.748 2.391
1.748 0.000 7.174
0.000 0.000 3.229
0.000 0.000 6.337
1.748 1.748 1.554
1.748 1.748 8.012

~~~~~

1.
Compound: Li2Tl2Pb
Source: Alexandria
Functional: PBE
Structure: relaxed

Geometry as POSCAR:
```
Li2Tl2Pb
1.0
-5.564 -5.572 1.203
3.180 -1.639 7.117
-2.217 2.555 1.579
Pb Tl Li
2 4 4
Cartesian
-1.192 -3.605 4.160
0.000 0.000 0.000
-4.707 -3.977 4.240
-2.512 -0.888 2.324
-2.089 -3.768 7.576
0.106 -0.679 5.660
-3.115 -3.792 1.763
-2.754 -5.842 5.587
0.370 -1.368 2.733
0.731 -3.418 6.558
```

Total DFT energy (no corrections) (eV per atom): -2.6083
Space group: P4/mbm

2.
Compound: HgB2Ir
Source: Alexandria
Functional: PBE
Structure: relaxed

Geometry as POSCAR:
```
HgB2Ir
1.0
5.129 0.000 0.000
0.000 5.129 0.000
2.565 2.565 4.916
B Ir Hg
4 2 2
Cartesian
3.847 4.200 3.687
1.635 3.847 1.229
3.494 1.282 1.229
That would suggest the momentum behind China’s vast manufacturing sector will continue to improve in the first quarter, Peng Wensheng, chief economist at investment bank CICC in Beijing, said.